1 Timothy
5:16 Compared with 2 Corinthians 9:13
Hi Brod Rushmore, Greetings! I’m
Omar S. Agustin, member of the
Chruch of Christ in Angeles City, Philippines,
1 Timothy 5:16
please explain,
can we use the church treasury for none christian which is widow
whatever age?
Is this text applicable only for the member of the Lord’s
Church? Please
explain 2 Cor. 9:13-14,
phrase “unto them and unto all” In Him, Omar S.
First Timothy 5:16 is
addressed to Christians who have
widowed parents; the verse is not addressed to the widowed parents.
“If any
believing man or woman has widows” (NKJV).
The purpose of the verse is to prompt Christians to take financial
responsibility for their own widowed parents so that the church does
not have
to undertake that responsibility: “let them relieve them, and
do not let the
church be burdened.” The implication is and further it is
plainly stated that
the church will take financial responsibility for widows who have no
financial resources to which they can appeal for their support:
“that it may
relieve those who are really widows.” While the verse
acknowledges that the one
addressed are Christians who have widowed parents, nothing in the verse
anything about whether the widowed parents are Christians.
First Timothy 5:16 is similar in
intention to verses
9-14 of this passage in that alternatives are addressed for the
sustenance of
widows so that the financial resources of the church do not have to be
on widows unnecessarily. The church will arise benevolently toward
widows if it
needs to rescue them, but other alternatives ought to be sought first.
Timothy 5:8 heads this passage of responsible and financial sustenance
of one’s
family, and biblically, one’s family extends backward as well
as forward. “But
if anyone does not provide for his own, and especially for those of his
household, he has denied the faith and is worse than an
Second Corinthians 9:13 also discusses
However, the verse mentions benevolence toward Christians and non-Christians: “liberal
sharing with them and all men.” Second
Corinthians 9:13 mirrors Galatians
which reads: “Therefore, as we have opportunity, let us do
good to all,
especially to those who are of the household of faith.” While
we have preference
for brethren (Romans 12:10), according to opportunity and available
the church has an obligation to extend benevolence first to fellow
who need it, and then to non-Christians as well.
Sanguine Husband and a Choleric WifeI am a Sanguine, my wife is a choleric. So how does one lead a
choleric wife? Ron Kyker, Livermore, Ca
A Christian wife with a proper regard for and
understanding of New Testament teaching about male and female roles in the home
and in the church will submit herself to her husband. “Wives, submit yourselves
unto your own husbands, as unto the Lord. For the husband is the head of the
wife, even as Christ is the head of the church: and he is the saviour of the
body. Therefore as the church is subject unto Christ, so let the wives be to
their own husbands in every thing. Husbands, love your wives, even as Christ
also loved the church, and gave himself for it” (Ephesians 5:22-25). At the
same time, husbands need to recognize and embrace their God-given roles as head
of the home (1 Corinthians 11:3). Irrespective of our personality types, we
have the capacity to obey God and function in the respective male/female roles
**Attached: materials data:**
=====
--- P ---
## Ca8Mn6Al2O23 (PBE with a Hubbard U)

Data for an optimized crystal structure of Ca8Mn6Al2O23.

```
Ca8Mn6Al2O23
1.0
7.5299 0.0000 0.0000
0.0000 7.5299 0.0000
0.0000 0.0000 7.7275
Ca Mn Al O
8 6 2 23
direct
0.2588 0.2588 0.2500
0.2554 0.2554 0.7500
0.2588 0.7412 0.2500
0.2554 0.7446 0.7500
0.7412 0.2588 0.2500
0.7446 0.2554 0.7500
0.7412 0.7412 0.2500
0.7446 0.7446 0.7500
0.0000 0.5000 0.0048
0.0000 0.5000 0.4952
0.5000 0.0000 0.0048
0.5000 0.0000 0.4952
0.5000 0.5000 0.9994
0.5000 0.5000 0.5006
0.0000 0.0000 0.9758
0.0000 0.0000 0.5242
0.0000 0.0000 0.7500
0.0000 0.5000 0.2500
0.0000 0.5000 0.7500
0.5000 0.0000 0.2500
0.5000 0.0000 0.7500
0.5000 0.5000 0.2500
0.5000 0.5000 0.7500
0.2419 0.0000 0.0209
0.2419 0.0000 0.4791
0.2500 0.5000 0.9987
0.2500 0.5000 0.5013
0.7581 0.0000 0.0209
0.7581 0.0000 0.4791
0.7500 0.5000 0.9987
0.7500 0.5000 0.5013
0.0000 0.2419 0.0209
0.0000 0.2419 0.4791
0.0000 0.7581 0.0209
0.0000 0.7581 0.4791
0.5000 0.2500 0.9987
0.5000 0.2500 0.5013
0.5000 0.7500 0.9987
0.5000 0.7500 0.5013
```

Its symmetry is P4/mmm.

--- Q ---
## Ca8Mn6Al2O23 (PBE with a Hubbard U)

Data for an optimized crystal structure of Ca8Mn6Al2O23.

```
Ca8Mn6Al2O23
1.0
-7.8238 0.4911 -7.4030
10.0471 -3.1963 -10.8017
-1.8396 -10.4327 1.3434
Ca Mn Al O
32 24 8 92
direct
0.0209 0.1228 0.4969
0.0184 0.1209 0.9969
0.0224 0.6245 0.4954
0.0254 0.6236 0.9964
0.5136 0.1311 0.5023
0.5257 0.1249 0.9792
0.5241 0.6241 0.4993
0.5162 0.6219 0.9947
0.4864 0.3754 0.9982
0.4772 0.3805 0.5102
0.4841 0.8720 0.9909
0.4795 0.8713 0.5121
0.9753 0.3807 0.0039
0.9814 0.3747 0.5011
0.9790 0.8764 0.0083
0.9755 0.8766 0.5036
0.2334 0.3828 0.2526
0.2287 0.3735 0.7361
0.2281 0.8781 0.2456
0.2347 0.8766 0.7512
0.7360 0.3803 0.2466
0.7281 0.3759 0.7478
0.7384 0.8680 0.2444
0.7236 0.8748 0.7449
0.2441 0.1227 0.2604
0.2725 0.1232 0.7343
0.2722 0.6251 0.2517
0.2686 0.6222 0.7576
0.7730 0.1221 0.2565
0.7678 0.1235 0.7556
0.7742 0.6237 0.2553
0.7737 0.6247 0.7545
0.9999 0.0014 0.2509
0.9976 0.9991 0.7519
0.0024 0.4991 0.2475
0.0033 0.4989 0.7509
0.4992 0.5013 0.2508
0.4986 0.4999 0.7525
0.2547 0.0072 0.0030
0.2512 0.5000 0.4999
0.7491 0.9985 0.9960
0.7425 0.0009 0.5015
0.7489 0.5011 0.0006
0.7521 0.4995 0.5008
0.2506 0.7494 0.0040
0.2508 0.7517 0.4993
0.7528 0.2478 0.0014
0.7519 0.2491 0.5024
0.7500 0.7488 0.9992
0.7506 0.7497 0.5003
0.9990 0.2490 0.7439
0.0018 0.7495 0.2501
0.0016 0.7508 0.7505
0.5006 0.2488 0.7436
0.5011 0.7492 0.2522
0.4986 0.7496 0.7507
0.5147 0.9817 0.2340
0.4970 0.9995 0.7448
0.2335 0.9958 0.5145
0.2505 0.4960 0.0039
0.2549 0.2456 0.9623
0.2471 0.2470 0.4897
0.9873 0.2496 0.2702
0.5208 0.2621 0.2682
0.1051 0.2638 0.6018
0.1059 0.7708 0.1043
0.1047 0.7731 0.6026
0.5770 0.2520 0.1116
0.6026 0.2703 0.5985
0.6068 0.7725 0.1052
0.6049 0.7669 0.6039
0.3942 0.2171 0.3491
0.3986 0.2337 0.8864
0.3969 0.7277 0.3977
0.3970 0.7330 0.8987
0.8946 0.2304 0.4061
0.8984 0.2314 0.9027
0.8964 0.7309 0.3966
0.8963 0.7276 0.8961
0.1415 0.2405 0.3469
0.1402 0.2285 0.8471
=====
**The page goes on:**
he has assigned us.
African Place in Biblical HistorySir, I read the following statement at this web site: https://www.gospelgazette.com/gazette/2001/dec/page2.htm “Therefore, Ethiopia
was at peace with the Roman Empire when in Acts Eight the treasurer of Ethiopia (either as a Gentile proselyte to Judaism
or a Jew whose ancestors sought refuge or business interests in Ethiopia) traveled to Jerusalem for worship. Especially the great
contributions of the Grecian and Roman empires to the so-called civilized world
(e.g., law and order, highways, universal language, common monetary system, postal
service, etc.) permitted introduction of the Gospel in not only Palestine, but in
Europe, Asia and Africa. The background lying behind Acts
8:26-28 when brought to light makes the study of that passage
more rewarding.” I may have read it wrong, but to me, this statement implies that
the Grecian and Roman empires contributed innovations of all types to Africa. This statement is perplexing to me, since in my research,
I’m uncovering evidence that people of African nations founded and established Greek
and Roman cities, and that it is Greek and Roman language that is based on African
languages. Are these statements true? Please refer me to sources. Thank you, Doretha
Biblical history primarily pertains to a piece of real estate
often referred to as the Fertile Crescent, which extended from the Persian Gulf
west to the Mediterranean Sea and south to Egypt. The shape of this land is crescent
or rainbow in general appearance, arched in the middle. The Fertile Crescent was
well watered with the Euphrates and Tigris
Rivers (as well as other smaller
rivers). North of the Fertile Crescent are high mountains, and south of the Fertile Crescent is desert. A number of countries occupied
and occupy this area of land: Persian (Iran),
Babylon and Assyria (Iraq),
Syria, Lebanon and Palestine (an area rather than a single country),
etc. Biblical history includes besides the Fertile Crescent Italy, Greece and Turkey
as well as Mediterranean islands plus Egypt
and Ethiopia.
In succession, the Fertile Crescent as well as Turkey
(Asia Minor), Greece, Italy and Egypt
were dominated by or affected by the following empires: Assyria, Babylon, Medo-Persian,
Greece, Roman. Each
• Records of crystals that have nothing to do with the article:
=====
Record 1
The following is a PBE calculation of a relaxed RbLiMg14 crystal, from the Materials Project database.

Unit cell a=6.574 b=6.389 c=10.805 alpha=90.00 beta=90.00 gamma=119.07
Atoms (fractional coordinates):
Mg  0.165  0.833  0.625
Mg  0.823  0.661  0.392
Mg  0.834  0.167  0.371
Mg  0.664  0.335  0.125
Mg  0.834  0.167  0.879
Mg  0.342  0.177  0.393
Mg  0.342  0.177  0.857
Mg  0.342  0.665  0.393
Mg  0.664  0.829  0.125
Mg  0.163  0.331  0.625
Mg  0.667  0.835  0.625
Mg  0.823  0.661  0.858
Li  0.168  0.334  0.125
Mg  0.667  0.331  0.625
Mg  0.342  0.665  0.857
Rb  0.164  0.832  0.125

Properties
VASP energy: -1.455 eV/atom
Volume: 24.79 Å³/atom
Total moment: 0.0 μB per formula unit
Energy above the most stable polymorph in this dataset: 0.00 eV per formula unit


Record 2
The following is a PBE calculation of a relaxed La3YHf4O14 crystal, from the Materials Project database.

Unit cell a=7.556 b=7.556 c=7.556 alpha=58.61 beta=58.61 gamma=58.61
Atoms (fractional coordinates):
O  0.373  0.373  0.875
Hf  0.500  0.000  0.000
Y  0.500  0.500  0.500
O  0.125  0.627  0.627
O  0.868  0.868  0.868
O  0.627  0.125  0.627
La  0.500  0.500  0.000
Hf  0.000  0.000  0.000
O  0.359  0.892  0.892
O  0.132  0.132  0.132
O  0.892  0.892  0.359
O  0.108  0.108  0.641
La  0.500  0.000  0.500
Hf  0.000  0.500  0.000
La  0.000  0.500  0.500
O  0.641  0.108  0.108
O  0.892  0.359  0.892
O  0.875  0.373  0.373
O  0.627  0.627  0.125
Hf  0.000  0.000  0.500
O  0.108  0.641  0.108
O  0.373  0.875  0.373

Properties
VASP energy: -9.107 eV/atom
Volume: 13.43 Å³/atom
Corrected total energy (MP2020 scheme): -210.0 eV per cell
Total moment: 0.0 μB per formula unit


Record 3
The following is a PBE calculation of a relaxed Li3H2N2 crystal, from the Materials Project database.

Unit cell a=4.933 b=5.072 c=6.039 alpha=114.83 beta=114.10 gamma=90.00
Atoms (fractional coordinates):
H  0.311  0.697  0.872
N  0.085  0.619  0.727
Li  0.000  0.003  0.000
Li  0.000  0.503  0.000
H  0.439  0.325  0.128
N  0.358  0.392  0.273
N  0.642  0.119  0.727
Li  0.748  0.254  0.494
Li  0.253  0.260  0.506
H  0.689  0.825  0.128
Li  0.747  0.754  0.494
N  0.915  0.892  0.273
H  0.561  0.197  0.872
Li  0.252  0.760  0.506

Properties
VASP energy: -4.455 eV/atom
Volume: 8.75 Å³/atom
Corrected total energy (MP2020 scheme): -63.8 eV per cell
Total moment: 1.0 μB per formula unit


Which value of volume does entry 1 give?
24.79 Å³/atom

~~~~~

Entry 1:
The following is a DFT calculation (PBE-GGA) of a geometry-optimized Mn2Sb2H8S5N4 structure.

```
Mn2Sb2H8S5N4
1.0
8.931 0.000 0.000
0.612 9.005 0.000
3.862 2.945 7.654
Mn Sb H S N
4 4 16 10 8
Direct
0.044 0.402 0.179
0.383 0.044 0.190
0.617 0.956 0.810
0.956 0.598 0.821
0.159 0.844 0.998
0.319 0.302 0.770
0.681 0.698 0.230
0.841 0.156 0.002
0.036 0.767 0.458
0.107 0.964 0.551
0.189 0.680 0.486
0.273 0.876 0.540
0.288 0.221 0.429
0.313 0.489 0.247
0.366 0.429 0.082
0.477 0.282 0.274
0.523 0.718 0.726
0.634 0.571 0.918
0.687 0.511 0.753
=====
• Back to the article:
of these empires left some lasting affect, some of which were unintentionally helpful
to the spread of the Gospel and the early church (Christianity). The Medes and Persians
developed a sort of pony express for rapid mail delivery throughout their kingdom.
The Greeks left behind a universally known language (to enable people of different
native languages to communicate). The Romans built 50,000 miles of primary highways
throughout their empire, augmented with 200,000 miles of secondary roads. Virtually
any historical resource that addresses these kingdoms that also appear in biblical history will mention the information just noted.
I am not aware
of what was occurring parallel to the ages mentioned above in areas outside of
inclusion in biblical history (e.g., Africa beyond Ethiopia,
Asia, South America, North America, etc.). The
Roman Empire stopped in Africa at southern Egypt,
having warred with Ethiopia
when Ethiopia attempted to
push Roman occupation from Egypt.
Ethiopia unable to push
Roman occupation from Egypt,
though trying twice, made peace with the Romans. Consequently, because Rome did not desire to extend itself beyond Egypt into Africa, Ethiopia
became the portal for trade between Africa and the Roman
Empire. This proved to be financially advantageous to Ethiopia and Rome.
languages, the Bible and modern science concludes that all human languages have
a common parent language, and that the various languages are not only thereby
related, but the feed off each other. Because of the commonality in even what
appear to be drastically dissimilar languages, an unknown language can be
learned by comparison with other languages and common elements in human
When Did the Jewish Nation Begin?Genesis 10:5 (KJV) speaks of the isles of the Gentiles. In
Gen. 11:9 God scattered the people at Babel.
Were all of these still Gentiles? In Gen. 12:2 God tells Abram (Abraham) He
will make of him a great nation, but he does not use the word Hebrew or Jew. When
did the Jewish nation begin? Wanda Miller
Moses, by divine inspiration, wrote the first five
books of the Bible after the establishment of the Jewish nation. When the
historical events occurred that appear in the Book of Genesis, there was not
yet a distinction between Israelites or Jews and Gentiles (everybody else).
However, by the time that Moses wrote the Book of Genesis, there was a
distinction between the Israelites or Jews and the Gentiles. Moses spoke
accommodatively to his fellow Israelites when he spoke of Gentiles in
distinction to himself and his nation.
In addition, the designation of “Jews” was not
contemporaneous with the establishment of the Israelite nation, but came along
years later. (To complicate things a bit more, sometimes the nation of Israel
referred to only ten tribes and not all the tribes, i.e. when for awhile both
Saul’s son and David were kings over different tribes and later when the
Israelite nation split along the same lines following the death of Solomon.)
Abraham is the father of the Jewish or Israelite
nation, as God stated (Joshua 24:3) and first century Jews (and Jewish
Christians) avowed (Luke 1:73; 16:24, 30; John 8:53, 56; Acts 7:2; Romans 4:12),
but Abraham never saw the promises made to him (Genesis 12:2) respecting the
nation of Israel come to fruition in his lifetime. The only land that Abraham
owned as far as we know was the burial cave purchased to bury Sarah (Acts
Abraham’s grandson, Jacob, underwent a divinely given name
change to “Israel”
(Inserted here: crystal structures)
____________
# 1
The following is a DFT calculation (GGA-PBE) of an optimized crystal structure of Na6La4Zr4Si5S7O48.

energy of formation from the pure elements	-2.822	eV per atom

abc: 18.6435 9.2638 24.1691
angles: 90.00 89.60 119.81
Atoms (fractional coordinates):
Na  0.9976  0.6257  0.2558
Na  0.4982  0.6228  0.2513
Na  0.9977  0.3783  0.7499
Na  0.4999  0.3611  0.7526
Na  0.6631  0.3075  0.9213
Na  0.1645  0.0136  0.4333
Na  0.0041  0.9951  0.5104
Na  0.5047  0.9913  0.5030
Na  0.0065  0.0151  0.9940
Na  0.5046  0.0172  0.0034
Na  0.3306  0.3194  0.8410
Na  0.8303  0.3311  0.8177
Na  0.3452  0.3526  0.3258
Na  0.8256  0.3369  0.3462
Na  0.1887  0.6558  0.1644
Na  0.6719  0.6507  0.1591
Na  0.1737  0.6963  0.6628
Na  0.6843  0.6943  0.6736
La  0.9929  0.9884  0.3598
La  0.4988  0.0071  0.8553
La  0.3194  0.3321  0.6754
La  0.8229  0.3118  0.6855
La  0.3306  0.3461  0.1823
La  0.8176  0.3073  0.1750
La  0.8323  0.3199  0.9923
La  0.3338  0.3490  0.4952
La  0.1704  0.6639  0.3147
La  0.6706  0.6441  0.3153
La  0.1722  0.6981  0.8151
La  0.6681  0.6616  0.8114
Zr  0.4988  0.0169  0.3520
Zr  0.9987  0.9799  0.8511
Zr  0.9975  0.9816  0.6505
Zr  0.5116  0.0003  0.6433
Zr  0.0051  0.0198  0.1397
Zr  0.4966  0.0129  0.1492
Zr  0.3267  0.3188  0.9826
Zr  0.8277  0.3368  0.4837
Zr  0.1622  0.6644  0.0147
Zr  0.6652  0.6573  0.0198
Zr  0.1642  0.6722  0.5218
Zr  0.6614  0.6567  0.5160
Si  0.3604  0.7217  0.2512
Si  0.4983  0.2941  0.2498
Si  0.6425  0.2905  0.7496
Si  0.0009  0.7040  0.7496
Si  0.8610  0.0004  0.7514
Si  0.1716  0.0216  0.5788
Si  0.6855  0.0271  0.5801
Si  0.3343  0.6589  0.5837
Si  0.8309  0.0118  0.0835
Si  0.1858  0.3453  0.0815
Si  0.6720  0.3249  0.0795
Si  0.5164  0.3768  0.9188
Si  0.1625  0.9678  0.9203
Si  0.6639  0.3582  0.4196
Si  0.0179  0.6540  0.4169
S  0.1400  0.9954  0.2479
S  0.6385  0.0006  0.2518
S  0.8596  0.7121  0.2439
S  0.9989  0.2929  0.2459
S  0.1385  0.2767  0.7519
S  0.4972  0.7024  0.7460
S  0.3570  0.0050  0.7436
S  0.4927  0.3357  0.5853
S  0.9829  0.3300  0.5801
S  0.8316  0.6374  0.5790
S  0.4844  0.6388  0.0802
S  0.9932  0.6491  0.0871
S  0.3306  0.0260  0.0801
S  0.3112  0.6553  0.9226
S  0.8176  0.6737  0.9198
S  0.0212  0.3674  0.9163
S  0.6669  0.9622  0.9204
S  0.3170  0.9632  0.4189
S  0.8101  0.9672  0.4223
S  0.1681  0.3675  0.4201
S  0.5199  0.6736  0.4158
O  0.1024  0.0055  0.3011
O  0.5947  0.0091  0.3025
O  0.4148  0.8237  0.3065
O  0.9009  0.7906  0.2969
O  0.5001  0.1908  0.3055
O  0.9958  0.2043  0.2973
O  0.0951  0.1808  0.8027
O  0.6022  0.2047  0.8100
O  0.4906  0.7797  0.7974
O  0.0026  0.8113  0.8053
O  0.3964  0.0069  0.7971
O  0.9156  0.0033  0.8065
O  0.4060  0.0010  0.6960
O  0.9130  0.9997  0.6954
O  0.0936  0.1895  0.7007
O  0.5829  0.1676  0.6994
O  0.0052  0.8155  0.6948
O  0.4969  0.7991  0.6966
O  0.4115  0.8227  0.1949
O  0.9104  0.8155  0.1966
O  0.0007  0.1950  0.1969
O  0.5028  0.1923  0.1950
O  0.0888  0.9954  0.2008
O  0.5930  0.9970  0.2006
O  0.4560  0.3643  0.6355
____________
(Genesis 32:28). Though through Jacob whose name was changed to Israel that name came into being, Jacob (Israel) did not live to see the establishment of
the nation of Israel.
Only about 70 souls of Jacob’s family came to dwell in a section in Egypt called Goshen (Deuteronomy 10:22; Acts 7:15). However, over the years while in Egypt, the descendants of the man Israel
experienced a population explosion (Genesis 7:17). Moses led “the children of Israel” out of Egypt
and inaugurated a solemn covenant with God at Mt. Sinai
(Acts 7:37-38). Now, Israel
was a nation.
The term “Jews” first referred to members of the tribe
of Judah
(2 Kings 16:6). After the Babylonian captivity, the word Jew became synonymous
with all the surviving descendants of the Israelite nation that formerly made
its exodus from Egypt and
settled Palestine.
This was the way in which the term was applied in the New Testament literally
(Romans 1:16; 2:9). However, aside from physical ancestry, today, under
Christianity, a true Jew is equivalent to a Christian (Romans 2:28-29; 9:6).
Christians are Jews today spiritually.